Fiscal 2023 DIF Account

Between two parts of the piece: quantum chemistry results:
/*
ORCA calculation (wB97M-V/def2-TZVPD) on a 2-piece molecular cluster, CH3IOS2 overall at a distorted geometry.

Geometry (Å):
C (1.26977, -0.24565, 0.03204)
O (-0.52704, 1.73784, -0.71467)
S (-2.50918, -1.52940, 0.56096)
S (0.42788, 0.77391, -1.34493)
I (-2.88013, 0.71720, 0.42734)
H (2.23687, 0.24431, 0.39990)
H (0.71812, -0.43896, 1.03192)
H (1.26372, -1.25925, -0.39256)

Cartesian forces (eV/Å) of the 2 atoms listed first:
-0.60 0.43 1.49
0.71 0.26 -0.37

Properties
Frontier orbital gap (spin up / spin down) in eV: 8.50 / 6.07
<S²>: 2.0099
Spin multiplicity: 3
ΔE to the lowest compared entry with this formula, charge and spin in eV: 0.325

* * * * *

# C3H4O

One molecule with the formula C3H4O at a distorted geometry (ωB97M-V/def2-TZVPD, the OMol25 dataset).

Geometry as ORCA input:
```
! RIJCOSX wB97M-V def2-TZVPD def2/J DEFGRID3
* xyz 0 1
C -0.28 0.94 0.71
C -0.15 0.33 -0.45
C 0.40 -1.06 -0.48
O 0.78 -1.57 0.58
H -0.78 1.88 0.84
H 0.19 0.43 1.56
H -0.48 0.72 -1.39
H 0.31 -1.67 -1.37
*
```

The energy above the lowest of the compared OMol25 structures with the same formula, charge and spin is 4.1 kcal/mol. As for the frontier orbital gap: 10.17 eV. Its LUMO energy is 0.07 eV. For the HOMO energy, the calculation gives -0.3708 Eh. Its SMILES is C=CC=O.

# C3H4O

One molecule with the formula C3H4O at a distorted geometry (ωB97M-V/def2-TZVPD, the OMol25 dataset).

Geometry as ORCA input:
```
! RIJCOSX wB97M-V def2-TZVPD def2/J DEFGRID3
* xyz 0 1
C 1.12 -0.58 0.07
C 0.19 0.43 -0.18
C -1.32 0.25 0.09
O -1.83 -0.79 -0.13
H 2.18 -0.35 -0.04
H 0.99 -1.68 0.09
H 0.58 1.47 -0.32
H -1.91 1.26 0.41
*
```

The energy above the lowest of the compared OMol25 structures with the same formula, charge and spin is 15.2 kcal/mol. As for the frontier orbital gap: 10.15 eV. Its LUMO energy is 0.18 eV. For the HOMO energy, the calculation gives -0.3664 Eh. Its SMILES is C=CC=O.

Please write out number 2 again, unchanged.
# C3H4O

One molecule with the formula C3H4O at a distorted geometry (ωB97M-V/def2-TZVPD, the OMol25 dataset).

Geometry as ORCA input:
```
! RIJCOSX wB97M-V def2-TZVPD def2/J DEFGRID3
* xyz 0 1
C 1.12 -0.58 0.07
C 0.19 0.43 -0.18
C -1.32 0.25 0.09
O -1.83 -0.79 -0.13
H 2.18 -0.35 -0.04
H 0.99 -1.68 0.09
H 0.58 1.47 -0.32
H -1.91 1.26 0.41
*
```

The energy above the lowest of the compared OMol25 structures with the same formula, charge and spin is 15.2 kcal/mol. As for the frontier orbital gap: 10.15 eV. Its LUMO energy is 0.18 eV. For the HOMO energy, the calculation gives -0.3664 Eh. Its SMILES is C=CC=O.

Q: What is the frontier orbital gap in the first record?
A: 10.17 eV

* * * * *

[1]
DFT (wB97M-V/def2-TZVPD) results for 8 unconnected molecules or ions with the total composition C27H61F30N3OP6 in a non-equilibrium geometry.

molecular weight	1199.59	Da
ΔE to the lowest compared entry with this formula, charge and spin	68.4	kcal/mol
HOMO energy	-5.44	eV

Structure (ORCA input):
```
! wB97M-V def2-TZVPD RIJCOSX def2/J DEFGRID3
* xyz -2 1
*/

Final Cost Of Polar Park


When do you think we will ever find out the final cost of Polar Park????




We still say north of $170,000,000



Anonymous said…
Anonymous said…
Sorry. Hit enter too quickly. 181000000
Anonymous said…
I don't think they will ever tell us the true cost of the ballpark or the total cost of the related work. I call the related work the cost of the streets the City improved because of the ballpark. I drove ove Lamaratine St today and they have made it wider and are installing granite curbing, not cheap. I doubt the City will ever tell us the total cost of this work which would not have been done without the ballpark. If you add all expenses you are probably closer to $200,000,000.00.
Anonymous said…
I was on Lamaratine heading to Crompton Collective and thought of an older comment about the garage and the City built it too far away from the Canal District.
Anonymous said…
Too much!
Anonymous said…
If the news was good, we would already know about it.

My prediction is never. They will play cost allocation games and they know that most voters wouldn’t understand even a direct financial report.
Anonymous said…
This is the problem with government generally and we taxpayers specifically. We pay our taxes and when mistakes are made, which we all make, they bury or ignore them and we don't know any better. We complain when we get our tax bill and never follow up but the mistakes with the ballpark are a different story all together. A project that started at $100 million has exploded to $175 million. The development that is supposed to be completed by now and is paying for the ballpark hasn't really even started. These mistakes are big and costly and the City just says trust us we are going to make more money than we ever expected but does not show us how and we are expected to just take their word for it. Only in Worcester!
Anonymous said…
Unfortunately, it isn’t “only in Worcester”. Listen to the president telling you that pumping $4.75 trillion (trillion!) into the economy won’t exacerbate inflation. Not to mention the $5 trillion on the Fed’s existing balance sheet that needs to get unwound. It’s like a bad science fiction movie that won’t end.
Anonymous said…
This morning on cable news the anchor was touting the "public/private partnership" between the federal government and the pharmaceutical companies in developing the Covid vaccines. What it boiled down to is the government paid trillions of dollars to the pharmaceutical companies to develop vaccines and now they are now profiting from the vaccines the government paid for.
This is similar to Polar Park. The City paid millions to construct Polar Park and now the WooSox are probably making millions in profits from the ballpark.
In both cases, as a taxpayer I feel like I am getting screwed but at least with the vaccine I received two shots and a booster for "free" even though either I, my kids or my grandkids will be paying for it in our taxes.